Alerting services are a great way to receive updates on topics, journals, researchers, and citations of interest to you. They also help you save time and keep on top of the research by automatically sending updates to you instead of you spending time searching for updates. Many alerts are set up and managed via individual specific databases or can be managed via an RSS feed.
Most of the databases will ask that you create a personalized account to manage your saved searches or RSS feeds.
There are many different types of alerts available:
- Journal Alerts: Stay on top of your favorite Journals by receiving the Table of Contents from the latest issues or by being notified of the latest articles published in an issue.
- Topic Alerts: Stay on top of your research areas of interest by having databases automatically run saved topic searches and have the latest search results sent to you.
- Citation Alerts: Be notified when an article gets cited. Very useful at keeping track of your own citation statistics and as well as the statistics within your field or department.
If you have a favorite Journal, you can set up Journal or Table of Contents Alerts or New publication Alerts to be notified of the latest articles published in said Journal. Check out the list of Top 5 Journals by Impact factor on the Find Articles tab for some suggestions of Journals to follow.
Journal TOCs: A free service that collects feeds from over 19,000 academic journals, and can provide you with new tables of contents whenever a new issue is published. Browse by subject area, journal title, or combine multiple journal titles into a single feed!
EBSCO Host Journal Alerts: Create an Ebsco account (top menu --> sign in). Conduct a search for your Journal name by entering in the name of the Journal and choosing (SO Publication Name) from the drop-down field menu. On your search results page, click on "Share" and select either 'E-mail Alert' or "RSS feed".
ProQuest Journal Alerts: Create a MyResearch Account (Top menu -->My Research). Click on 'Publications' (Top left of the screen). Conduct a search for your Journal. Click on 'Create alert' or 'Create RSS feed' and fill out the form.
PubMed: Create an NCBI account. In the Advanced search, enter the name of the journal and select the 'Journal' field from the drop down-field. Press Search. On the results page, click on RSS or 'Save Search' (below the search bar).
Science Direct: Login to Science Direct (top right). Conduct a search for the Journal by entering the name of the Journal in the Journal/Book title field. Select " New Article Feed" or "Alert me about New articles".
Web of Science Journal Alerts: Sign in to Web of Science (top right). Conduct a search for your Journal name by entering the name of the Journal and choosing Publication Name from the drop-down field menu. On your search results page click on "Create Alert/RSS Feed" (top left of the screen).
Instead of re-running the same search every few weeks or months, stay on top of the literature in your field by creating a saved search alert or RSS feed where your search will run automatically and you will be notified of the latest results. Saved searches can be simple searches with a few keywords or highly specific.
EBSCO Host saved search alerts: Create a EBSCO account (top menu --> sign in). Conduct a search for your topic. On your search results page, click on "Share" and select either 'E-mail Alert' or "RSS feed".
ProQuest saved search alerts: Create a MyResearch Account (Top menu -->My Research). Conduct a search for your topic. Click on 'Create alert' or 'Create RSS feed' and fill out the form.
PubMed: Create an NCBI account. Conduct a search for your topic. On the results page, click on RSS or 'Save Search' (below the search bar).
(Attached: calculated molecules)
=====
A molecular structure, C31H23BrClFeN4O5S, computed with wB97M-V/def2-TZVPD.

The geometry in ORCA input format:
```
! RIJCOSX wB97M-V def2-TZVPD def2/J DEFGRID3
* xyz 0 6
Fe -0.22 0.36 -0.09
Cl 5.09 -1.48 4.50
C 3.70 -0.91 3.62
C 3.21 0.37 3.87
C 2.10 0.83 3.20
C 1.45 0.02 2.25
O 0.38 0.47 1.65
C 1.97 -1.26 1.99
C 1.34 -2.15 1.04
N 0.44 -1.76 0.21
C -0.23 -2.69 -0.60
C 0.29 -3.80 -1.20
C -0.55 -4.64 -1.96
C -1.88 -4.36 -2.11
C -2.44 -3.21 -1.52
C -3.80 -2.84 -1.63
C -4.23 -1.69 -1.03
C -3.30 -0.87 -0.36
N -2.03 -1.19 -0.23
C -1.61 -2.36 -0.78
C 3.09 -1.73 2.70
H 3.71 1.00 4.59
H 1.71 1.82 3.38
H 1.62 -3.20 1.08
H 1.34 -4.02 -1.10
H -0.12 -5.51 -2.43
H -2.52 -5.02 -2.69
H -4.49 -3.47 -2.18
H -5.26 -1.37 -1.09
H -3.60 0.08 0.07
H 3.47 -2.72 2.51
O 2.90 0.39 -0.49
C 1.80 0.39 -0.91
Br -1.76 2.14 -0.28
O -1.95 0.04 -4.26
C -0.81 -0.06 -4.99
C -0.86 -0.06 -6.39
C 0.30 -0.13 -7.13
C 1.54 -0.21 -6.51
C 1.59 -0.20 -5.13
C 0.43 -0.13 -4.35
C 0.56 -0.09 -2.88
O 1.77 0.07 -2.43
O -0.43 -0.20 -2.14
H -2.69 0.16 -4.87
H -1.82 0.01 -6.88
H 0.24 -0.13 -8.21
H 2.45 -0.26 -7.09
H 2.54 -0.23 -4.61
N 4.28 3.18 -0.04
C 3.05 3.37 -0.61
S 1.73 3.65 0.34
N 3.10 3.28 -1.97
C 2.11 3.34 -2.97
C 0.74 3.38 -2.74
C -0.13 3.38 -3.82
C 0.33 3.34 -5.12
C 1.69 3.30 -5.35
C 2.58 3.31 -4.29
H 4.23 3.03 0.96
H 4.93 2.58 -0.52
H 4.02 3.15 -2.35
H 0.36 3.42 -1.74
H -1.20 3.39 -3.61
H -0.37 3.33 -5.95
H 2.08 3.26 -6.36
H 3.64 3.27 -4.48
*
```

The frontier orbital gap (alpha / beta) is 0.2677 / 0.2593 hartree. For the energy above the lowest of the compared OMol25 structures with the same formula, charge and spin, the calculation gives 17.0 kcal per mole. Its largest force on an atom is 0.93 eV Å⁻¹.



C4H6N2O in the gas phase at a distorted geometry, computed with wB97M-V/def2-TZVPD.

The geometry in ORCA input format:
```
! RIJCOSX wB97M-V def2-TZVPD def2/J DEFGRID3
* xyz 0 1
H 1.01 2.52 -1.11
N 1.55 1.71 -0.71
C 0.64 0.79 -0.33
C -0.86 0.87 -0.33
O -1.68 -0.37 -0.12
C -0.96 -1.41 0.56
C 0.35 -1.49 0.68
N 1.12 -0.30 0.37
H -1.22 1.03 -1.30
H -1.19 1.76 0.30
H -1.86 -1.89 0.96
H 0.91 -2.37 1.00
H 2.12 -0.56 -0.03
*
```

The frontier orbital gap is 0.3367 hartree. The SMILES is [H]/N=C1\COC=CN1. For the energy above the lowest of the compared OMol25 structures with the same formula, charge and spin, the calculation gives 70.9 kcal per mole. Its largest force on an atom is 4.82 eV Å⁻¹.



A molecular structure, H2OTl at a distorted geometry, computed with wB97M-V/def2-TZVPD.

The geometry in ORCA input format:
```
! RIJCOSX wB97M-V def2-TZVPD def2/J DEFGRID3
* xyz 0 2
H -0.22 1.00 -0.39
O -0.04 0.18 0.08
Tl 0.38 -1.78 -0.86
H -0.12 0.60 1.17
*
```

The frontier orbital gap (alpha / beta) is 0.1569 / 0.3667 hartree. For the energy above the lowest of the compared OMol25 structures with the same formula, charge and spin, the calculation gives 0.0 kcal per mole. Its largest force on an atom is 7.16 eV Å⁻¹.
=====
Science Direct saved search alerts: Login to Science Direct (top right). Conduct a search for your topic. Select "New Article Feed" or "Alert me about New articles".
Web of Science saved search alerts: Sign in to Web of Science (top right). Conduct a search for your topic. On your search results page click on "Create Alert/RSS Feed" (top left of the screen).
(Molecular data, kept here for reference)
-- begin --
(1)
DFT (ωB97M-V/def2-TZVPD) results for C40H32O2P2ReS2 as an isolated structure.

```
79
Properties=species:S:1:pos:R:3:forces:R:3:lowdin_charge:R:1
Re 0.5757 0.6854 -1.2092 0.2 0.2 -0.3 1.01
S 2.7442 -0.3258 -0.5268 0.0 0.0 0.2 0.43
S 0.2886 2.9458 0.0250 0.0 -0.1 0.1 0.36
P -0.6199 1.5223 1.1660 0.1 0.0 0.0 0.51
P 1.7365 -0.5491 1.2050 -0.1 0.2 -0.1 0.54
O 0.9280 0.6892 -3.6710 -0.1 0.0 -0.1 -0.08
O -1.2539 1.3601 -2.0369 0.1 0.2 0.2 -0.15
C -2.9662 0.2020 0.4643 0.0 0.0 0.0 -0.09
C 2.6342 -3.1799 -4.4423 0.0 0.0 0.0 -0.06
C -0.0622 0.6768 -4.6523 0.0 0.1 -0.1 -0.18
C -1.3852 1.0751 -4.3992 0.1 -0.1 0.0 -0.07
C 2.4445 0.4619 2.5180 0.0 -0.1 -0.1 -0.35
C -4.5320 2.4834 0.7361 0.0 0.0 0.0 -0.07
C 0.4084 -4.2812 2.0575 0.0 0.0 0.0 -0.07
C 0.1977 0.0681 0.5822 0.0 -0.2 0.3 -0.69
C 0.8525 -0.3706 -2.7338 0.0 -0.2 0.0 -0.37
C 2.2270 0.1457 3.8580 0.0 0.0 0.0 -0.09
C -0.5181 2.3399 5.6549 0.0 0.0 0.0 -0.07
C -5.1137 1.2749 0.3690 0.0 0.0 0.0 -0.07
C -2.3874 1.4090 0.8306 0.1 0.0 0.1 -0.36
C 2.6736 -4.1344 2.8644 0.0 0.0 0.0 -0.06
C 0.0978 2.9994 3.4273 0.0 0.0 0.0 -0.09
C -1.9002 0.6455 -6.7353 0.0 0.0 0.0 -0.05
C 2.2193 -1.8973 -4.1350 -0.1 0.0 0.0 -0.02
C 1.6358 -2.2257 1.8443 -0.1 0.1 -0.1 -0.35
C 2.7714 0.9461 4.8475 0.0 0.0 0.0 -0.07
C 3.2021 1.5789 2.1759 0.0 0.0 0.0 -0.10
C 0.4730 -2.9607 1.6404 -0.1 0.0 0.0 -0.09
C 3.5302 2.0578 4.5047 0.0 0.0 0.0 -0.07
C 0.7036 -2.7972 -2.4823 0.0 0.1 0.0 -0.03
C -4.3329 0.1373 0.2312 0.0 0.0 0.0 -0.07
C -1.1128 1.1850 5.1600 0.0 0.0 0.0 -0.07
C -1.8671 1.5393 -3.0870 -0.2 0.0 -0.1 -0.30
C -3.1870 2.2489 -2.9830 0.0 -0.1 0.1 0.02
C -2.2859 1.0448 -5.4723 0.0 0.0 0.1 -0.01
C 1.2411 -1.6988 -3.1566 0.0 -0.1 0.0 -0.25
C 0.3356 0.3145 -5.9268 0.1 0.0 0.1 0.02
C 1.1181 -4.0780 -2.8017 0.0 0.0 0.0 -0.06
C 3.7422 2.3767 3.1717 0.0 0.0 0.0 -0.06
C 0.0850 3.2425 4.7932 0.0 0.0 0.0 -0.07
C 2.0805 -4.2706 -3.7835 0.0 0.0 0.0 -0.06
C 2.7402 -2.8141 2.4553 0.1 0.0 0.0 -0.08
C -0.5789 0.2920 -6.9652 0.0 0.0 0.0 -0.03
C -0.5037 1.8505 2.9353 0.0 0.0 -0.1 -0.35
C 1.5089 -4.8673 2.6665 0.0 0.0 0.0 -0.06
C -3.1691 2.5537 0.9661 0.0 0.0 0.0 -0.09
C -1.1134 0.9411 3.7986 0.0 0.0 0.0 -0.08
H 3.6463 -2.2416 2.6180 0.0 0.0 0.0 0.12
H 4.3392 3.2385 2.9049 0.0 0.0 0.0 0.11
H 0.5492 4.1389 5.1825 0.0 0.0 0.0 0.11
H -3.9978 1.5166 -3.0179 0.0 0.0 0.0 0.11
H 1.4596 -5.8979 2.9919 0.0 0.0 0.0 0.11
H 3.3833 1.8062 1.1336 0.0 0.0 0.0 0.07
H 1.6454 -0.7268 4.1301 0.0 0.0 0.0 0.11
H -3.3132 1.3347 -5.3068 0.0 0.0 0.0 0.11
H -1.5857 0.4839 5.8348 0.0 0.0 0.0 0.11
H 3.5296 -4.5922 3.3414 0.0 0.0 0.0 0.11
H -6.1801 1.2216 0.1930 0.0 0.0 0.0 0.11
H -2.6214 0.6234 -7.5400 0.0 0.0 0.0 0.11
H 2.6080 0.6971 5.8877 0.0 0.0 0.0 0.11
H -2.3456 -0.6771 0.3417 0.0 0.0 0.0 0.09
H -0.5283 2.5355 6.7192 0.0 0.0 0.0 0.11
H -1.5969 0.0525 3.4062 0.0 0.0 0.0 0.11
H -3.2283 2.7520 -2.0196 0.0 0.0 0.0 0.09
H 3.4009 -3.3331 -5.1901 0.0 0.0 0.0 0.11
H -4.7868 -0.8023 -0.0553 0.0 0.0 0.0 0.11
H -0.4991 -4.8511 1.9086 0.0 0.0 0.0 0.11
-- stop --
(The piece goes on)
Be alerted when an article that you have published or an article of interested to you has been cited.
Web of Science: Sign in to Web of Science (top right). Conduct a search for the article name and then click on your article. On the right-hand side of the page you will see an option for 'Create Citation Alerts' click on that and complete the necessary information.
The Annual Reviews Journal series include comprehensive and compact review articles and many authors provide key summary points and future issues.
Use BrowZine to easily find, read, and monitor scholarly journals from Tulane.
BrowZine allows you to:
You can download BrowZine directly from an App store and then log in with your Tulane username and password for access!